-- Input --
'''
No. 1
Here is a relaxed Rb4Ac3SbO8 crystal from the Alexandria database. Energies are from PBE.

a b c (Å): 7.6170 7.9660 7.6174
angles (deg): 118.55 120.00 90.00
Sites, in units of the cell vectors:
Rb: 0.5000 0.0000 0.0000
Rb: 0.5000 0.0000 0.5000
Rb: 0.0000 0.0000 0.0000
Rb: 0.0000 0.0000 0.5000
Ac: 0.5000 0.5000 0.0000
Ac: 0.5000 0.5000 0.5000
Ac: 0.0000 0.5000 0.5000
Sb: 0.0000 0.5000 0.0000
O: 0.2228 0.6853 0.9624
O: 0.2229 0.6854 0.4458
O: 0.2714 0.3141 0.5428
O: 0.7396 0.6853 0.9624
O: 0.2604 0.3147 0.0376
O: 0.7286 0.6859 0.4572
O: 0.7771 0.3146 0.5542
O: 0.7772 0.3147 0.0376

Values from the calculation:
energy relative to the elements, uncorrected	-2185	meV/atom
total energy	-5.934	eV per atom
size of the total moment	0.000	μB per atom
DOS at the Fermi energy	0.0	states/eV per cell

---

No. 2
Here is a relaxed LiP2Ir crystal from the Alexandria database. Energies are from PBE.

a b c (Å): 5.7699 5.7699 6.5223
angles (deg): 63.75 63.75 90.00
Sites, in units of the cell vectors:
P: 0.6763 0.1250 0.2500
P: 0.0737 0.6250 0.2500
P: 0.3750 0.3237 0.7500
P: 0.8750 0.9263 0.7500
Ir: 0.0000 0.0000 0.0000
Ir: 0.7500 0.2500 0.5000
Li: 0.5000 0.5000 0.0000
Li: 0.2500 0.7500 0.5000

Values from the calculation:
total energy	-5.605	eV per atom
energy of formation from the pure elements	-206.1	meV per atom
size of the total moment	0.000	μB per atom
DOS at the Fermi energy	3.6	states/eV per cell

---

No. 3
Here is a relaxed BWCl2 crystal from the Alexandria database. Energies are from PBE.

a b c (Å): 8.9354 8.9354 6.6699
angles (deg): 47.95 47.95 90.00
Site moments in Bohr magnetons follow the coordinates.
Sites, in units of the cell vectors:
B: 0.5000 0.5000 0.0000  0.07
B: 0.2500 0.7500 0.5000  0.07
W: 0.0000 0.0000 0.0000  1.10
W: 0.7500 0.2500 0.5000  1.10
Cl: 0.7781 0.1250 0.2500  0.06
Cl: 0.9719 0.6250 0.2500  0.06
Cl: 0.3750 0.2219 0.7500  0.06
Cl: 0.8750 0.0281 0.7500  0.06

Values from the calculation:
energy relative to the elements, uncorrected	634	meV/atom
total energy	-5.197	eV per atom
size of the total moment	0.427	μB per atom
DOS at the Fermi energy	7.5	states/eV per cell

---

No. 4
Here is a relaxed YThTcAg crystal from the Alexandria database. Energies are from PBE.

a b c (Å): 5.0783 5.0783 5.0783
angles (deg): 60.00 60.00 60.00
Sites, in units of the cell vectors:
Y: 0.0000 0.0000 0.0000
Ag: 0.2500 0.2500 0.2500
Th: 0.5000 0.5000 0.5000
Tc: 0.7500 0.7500 0.7500

Values from the calculation:
total energy	-6.880	eV per atom
energy of formation from the pure elements	-104.8	meV per atom
size of the total moment	0.000	μB per atom
DOS at the Fermi energy	2.6	states/eV per cell

---

No. 5
Here is a relaxed SrTiSb2 crystal from the Alexandria database. Energies are from PBE.

a b c (Å): 4.1809 4.1809 7.9016
angles (deg): 74.66 74.66 60.00
Sites, in units of the cell vectors:
Sb: 0.2665 0.2665 0.2004
Sb: 0.7335 0.7335 0.7996
Ti: 0.0000 0.0000 0.0000
Sr: 0.5000 0.5000 0.5000

Values from the calculation:
energy relative to the elements, uncorrected	-641	meV/atom
total energy	-5.096	eV per atom
size of the total moment	0.000	μB per atom
DOS at the Fermi energy	1.1	states/eV per cell

---

No. 6
Here is a relaxed Tc3AgH crystal from the Alexandria database. Energies are from PBE.

a b c (Å): 5.0698 5.0698 5.0698
angles (deg): 90.00 90.00 90.00
Site moments in Bohr magnetons follow the coordinates.
Sites, in units of the cell vectors:
H: 0.5000 0.5000 0.5000  -0.01
Tc: 0.0000 0.5000 0.0000  3.13
Tc: 0.0000 0.0000 0.5000  3.48
Tc: 0.5000 0.0000 0.0000  2.87
Ag: 0.0000 0.0000 0.0000  0.23

Values from the calculation:
total energy	-4.459	eV per atom
size of the total moment	2.197	μB per atom
DOS at the Fermi energy	7.2	states/eV per cell

---

No. 7
Here is a relaxed Th8TcNi2 crystal from the Alexandria database. Energies are from PBE.

a b c (Å): 6.1336 7.7442 7.7442
angles (deg): 117.53 100.32 100.32
Sites, in units of the cell vectors:
Th: 0.5886 0.3623 0.1075
Th: 0.5886 0.1075 0.3623
Th: 0.1614 0.3605 0.3605
'''
-- Exercise --
Could you restate only the last part of the contents further up, starting with the line that has "2.197"?
-- Outcome --
size of the total moment	2.197	μB per atom
DOS at the Fermi energy	7.2	states/eV per cell

---

No. 7
Here is a relaxed Th8TcNi2 crystal from the Alexandria database. Energies are from PBE.

a b c (Å): 6.1336 7.7442 7.7442
angles (deg): 117.53 100.32 100.32
Sites, in units of the cell vectors:
Th: 0.5886 0.3623 0.1075
Th: 0.5886 0.1075 0.3623
Th: 0.1614 0.3605 0.3605